== Assignment ==
Start at the top of the material underneath and retype each line, ending with the one that has "-0.59, -8.09],".

== Given ==
=====
Entry 1:
{"formula": "C24H27AsF9NO5PtS3", "method": "ωB97M-V with the def2-TZVPD basis set", "multiplicity": 5, "de_lowest_kcal_mol": 13.98, "total_charge": 2, "homo_lumo_gap_ev": [8.5, 4.9], "lumo_ev": [-5.66, -10.04], "symbols": ["Pt", "C", "C", "S", "O", "C", "C", "H", "H", "H", "H", "H", "H", "H", "H", "H", "H", "F", "C", "F", "F", "C", "C", "C", "C", "C", "C", "C", "C", "H", "H", "H", "H", "F", "C", "F", "F", "S", "O", "O", "N", "S", "O", "O", "C", "F", "F", "F", "C", "As", "C", "C", "C", "C", "C", "C", "C", "C", "H", "H", "H", "H", "H", "H", "H", "H", "H", "H", "H", "H", "H"], "xyz": [[-0.86, -0.24, 0.69], [0.52, -3.31, 4.71], [-0.37, -3.25, 3.49], [0.64, -3.16, 1.95], [0.85, -1.71, 1.60], [-0.58, -3.72, 0.69], [0.06, -3.73, -0.68], [-0.09, -3.20, 5.61], [1.24, -2.50, 4.71], [1.05, -4.26, 4.78], [-1.00, -2.37, 3.48], [-0.99, -4.14, 3.40], [-1.42, -3.02, 0.75], [-0.91, -4.72, 0.97], [0.33, -2.72, -0.98], [-0.64, -4.13, -1.41], [0.95, -4.36, -0.68], [-2.51, -1.44, -8.53], [-3.50, -1.43, -7.64], [-4.43, -0.59, -8.09], [-4.03, -2.66, -7.62], [-2.99, -1.06, -6.26], [-1.89, -1.77, -5.78], [-1.40, -1.51, -4.52], [-2.04, -0.54, -3.71], [-3.13, 0.19, -4.22], [-3.61, -0.08, -5.49], [-1.60, -0.36, -2.40], [-1.23, -0.33, -1.22], [-1.43, -2.53, -6.40], [-0.55, -2.05, -4.12], [-3.59, 0.95, -3.61], [-4.46, 0.46, -5.88], [-0.76, -0.22, 5.17], [-0.61, 1.10, 5.13], [-1.14, 1.63, 6.21], [0.70, 1.35, 5.11], [-1.36, 1.63, 3.49], [-0.46, 0.90, 2.59], [-1.28, 3.03, 3.35], [-2.80, 1.05, 3.55], [-3.29, -0.28, 2.89], [-2.21, -1.11, 2.35], [-4.27, -0.98, 3.62], [-4.07, 0.39, 1.31], [-5.21, 1.00, 1.47], [-3.16, 1.28, 0.81], [-4.19, -0.56, 0.38], [3.02, 0.01, -0.27], [1.72, 0.94, 0.88], [2.81, 1.24, 2.47], [1.57, 2.79, 0.02], [2.91, 3.36, -0.17], [3.61, 3.15, -1.38], [4.81, 3.77, -1.60], [5.38, 4.58, -0.61], [4.70, 4.80, 0.59], [3.49, 4.18, 0.82], [3.98, 0.52, -0.29], [2.62, -0.09, -1.29], [3.15, -0.99, 0.14], [3.74, 1.74, 2.20], [3.03, 0.27, 2.91], [2.25, 1.83, 3.19], [0.94, 3.37, 0.69], [1.06, 2.62, -0.94], [3.16, 2.53, -2.14], [5.32, 3.64, -2.55], [6.35, 5.03, -0.78], [5.13, 5.45, 1.33], [2.97, 4.35, 1.74]]}

Entry 2:
=====

== Completed ==
Entry 1:
{"formula": "C24H27AsF9NO5PtS3", "method": "ωB97M-V with the def2-TZVPD basis set", "multiplicity": 5, "de_lowest_kcal_mol": 13.98, "total_charge": 2, "homo_lumo_gap_ev": [8.5, 4.9], "lumo_ev": [-5.66, -10.04], "symbols": ["Pt", "C", "C", "S", "O", "C", "C", "H", "H", "H", "H", "H", "H", "H", "H", "H", "H", "F", "C", "F", "F", "C", "C", "C", "C", "C", "C", "C", "C", "H", "H", "H", "H", "F", "C", "F", "F", "S", "O", "O", "N", "S", "O", "O", "C", "F", "F", "F", "C", "As", "C", "C", "C", "C", "C", "C", "C", "C", "H", "H", "H", "H", "H", "H", "H", "H", "H", "H", "H", "H", "H"], "xyz": [[-0.86, -0.24, 0.69], [0.52, -3.31, 4.71], [-0.37, -3.25, 3.49], [0.64, -3.16, 1.95], [0.85, -1.71, 1.60], [-0.58, -3.72, 0.69], [0.06, -3.73, -0.68], [-0.09, -3.20, 5.61], [1.24, -2.50, 4.71], [1.05, -4.26, 4.78], [-1.00, -2.37, 3.48], [-0.99, -4.14, 3.40], [-1.42, -3.02, 0.75], [-0.91, -4.72, 0.97], [0.33, -2.72, -0.98], [-0.64, -4.13, -1.41], [0.95, -4.36, -0.68], [-2.51, -1.44, -8.53], [-3.50, -1.43, -7.64], [-4.43, -0.59, -8.09], [-4.03, -2.66, -7.62], [-2.99, -1.06, -6.26], [-1.89, -1.77, -5.78], [-1.40, -1.51, -4.52], [-2.04, -0.54, -3.71], [-3.13, 0.19, -4.22], [-3.61, -0.08, -5.49], [-1.60, -0.36, -2.40], [-1.23, -0.33, -1.22], [-1.43, -2.53, -6.40], [-0.55, -2.05, -4.12], [-3.59, 0.95, -3.61], [-4.46, 0.46, -5.88], [-0.76, -0.22, 5.17], [-0.61, 1.10, 5.13], [-1.14, 1.63, 6.21], [0.70, 1.35, 5.11], [-1.36, 1.63, 3.49], [-0.46, 0.90, 2.59], [-1.28, 3.03, 3.35], [-2.80, 1.05, 3.55], [-3.29, -0.28, 2.89], [-2.21, -1.11, 2.35], [-4.27, -0.98, 3.62], [-4.07, 0.39, 1.31], [-5.21, 1.00, 1.47], [-3.16, 1.28, 0.81], [-4.19, -0.56, 0.38], [3.02, 0.01, -0.27], [1.72, 0.94, 0.88], [2.81, 1.24, 2.47], [1.57, 2.79, 0.02], [2.91, 3.36, -0.17], [3.61, 3.15, -1.38], [4.81, 3.77, -1.60], [5.38, 4.58, -0.61], [4.70, 4.80, 0.59], [3.49, 4.18, 0.82], [3.98, 0.52, -0.29], [2.62, -0.09, -1.29], [3.15, -0.99, 0.14], [3.74, 1.74, 2.20], [3.03, 0.27, 2.91], [2.25, 1.83, 3.19], [0.94, 3.37, 0.69], [1.06, 2.62, -0.94], [3.16, 2.53, -2.14], [5.32, 3.64, -2.55], [6.35, 5.03, -0.78], [5.13, 5.45, 1.33], [2.97, 4.35, 1.74]]}